-- Given --
[1]
Entry from Alexandria via LeMat-Bulk: a relaxed structure of Y4NiSe2S (PBE).

Properties
DFT total energy: -54.6 eV per cell
symmetry: P2/m, No. 10
formation energy (no corrections): -1.480 eV per atom

Lattice parameters (Å, degrees): 3.9373 7.0270 7.0776 108.88 90.00 90.00
Closest atoms and distances in Å follow each position.
Sites, in units of the cell vectors:
Y (0.5000, 0.7517, 0.7670)  1 Ni 2.78, 2 S 2.79, 3 Se 2.90-2.96
Y (0.0000, 0.2670, 0.7747)  2 Ni 2.72, 1 S 2.83, 3 Se 2.92-2.97
Y (0.0000, 0.7330, 0.2253)  2 Ni 2.72, 1 S 2.83, 3 Se 2.92-2.97
Y (0.5000, 0.2483, 0.2330)  1 Ni 2.78, 2 S 2.79, 3 Se 2.90-2.96
S (0.0000, 0.0000, 0.0000)  6 Y 2.79-2.83
Se (0.0000, 0.5000, 0.5000)  6 Y 2.90-2.92
Se (0.5000, 0.0000, 0.5000)  6 Y 2.96-2.97
Ni (0.5000, 0.5000, 0.0000)  6 Y 2.72-2.78

[2]
Entry from Alexandria via LeMat-Bulk: a relaxed structure of Cd2OsSe (PBE).

Properties
DFT total energy: -15.7 eV per cell
symmetry: Imm2, No. 44
formation energy (no corrections): 0.213 eV per atom

Lattice parameters (Å, degrees): 6.6923 6.6923 4.6701 69.64 69.64 26.23
Closest atoms and distances in Å follow each position.
Sites, in units of the cell vectors:
Se (0.8233, 0.8233, 0.6768)  2 Os 2.45
Os (0.4814, 0.4814, 0.5182)  2 Se 2.45
Cd (0.1811, 0.1811, 0.3194)  2 Os 2.87, 4 Cd 3.04-3.10
Cd (0.0142, 0.0142, 0.9856)  4 Os 2.81, 4 Cd 3.04-3.10

[3]
Entry from Alexandria via LeMat-Bulk: a relaxed structure of CeBi2Pt (PBE).

Properties
DFT total energy: -19.7 eV per cell
symmetry: R-3m, No. 166
E_form: 0.005 eV per atom

Lattice parameters (Å, degrees): 3.6271 3.6271 10.5603 80.11 80.11 60.00
Closest atoms and distances in Å follow each position.
Sites, in units of the cell vectors:
Pt (0.5000, 0.5000, 0.5000)  6 Bi 2.82
Bi (0.8941, 0.8941, 0.3178)  3 Pt 2.82
Bi (0.1059, 0.1059, 0.6822)  3 Pt 2.82
Ce (0.0000, 0.0000, 0.0000)  2 Bi 3.29, 6 Ce 3.63

Computed values of total moment (unit: μB/f.u.) for the preceding records, in sequence: 0.00 0.00 1.49.

-- Assignment --
Work out how many lines further up have the word "total" in them; a number is enough.

-- Reply --
4